There has been no global warming for 17 years, which means that none of the 17 year old seniors starting school this week have experienced any global warming during their lifetime.
They have however been endlessly propagandized by lies from Al Gore, Barack Obama and many others.
I don’t believe this.
You don’t believe what?
Go to WFT and observe the information for your self. If you still have trouble believing what is there then contact the provider of the information, RSS! Very Simple, but that may be over your head!
If you really don’t believe it, that is because you have been brainwashed by very little else but “global warming” propaganda in the media for the last 17 years.
you can extend that to University and conclude that they should do some real research instead of believing All Gored.
Steve, I’m trying to locate the post with pic of obama getting off airplane with book in hand and close up of book showing the title something like “post american world” by fareed zak… I wanted to show people, and i scrolled back to 8/5/13 and it wasn’t there. did it disappear ? can u repost it ?
Thx, GW
Here is a copy with more pics also:
Thx ! However, I’m slightly concerned that it does not seem to be on Steve’s site anymore. I thought the post was more recent than 8/5. I even used the search feature for “obama” and it wasn’t in the obama posts.
I recall seeing it but I do not recall the date, I am certain it is there but Steven may not have used Skeeter’s name. A picture is worth a thousand words and his name is not necessary with a post. 😉
Here is one for you:
And all current elementary school children have experienced nothing but global cooling.
Yes, isn’t it interesting. A child born in 2002 has seen nothing but global cooling. That child is now 11.
And a child born in 1996, who started school in 2002, throughout his/her entire period of school training to date has been taught about–scared to pieces about–a man-made global warming/climate change that never occurred during their entire lifetime on this planet.
Palpable irony.
Palpable Irony and Criminal Fraud.
Reblogged this on CACA.
Hmmm, my soon-to-be senior son saw -56 F. last winter and understands the importance of helping me stock our 12’X16′ woodshed over this summer.
The “Melting Alaska” theme is spectacular bullshit that fits well for only the most twisted & psychotic minds.
What happens next?
a) nothing
b) catastrophic global warming
c) Another little ice age
I think a) based on the failure of GCMs to be of any use and the low solar activity being too much of an unknown quantity to go for c)
_Here the page breaks off for materials data_
=====
Ac6TcOs: optimized geometry, PBE.

Calculated values
**E_tot**: -45.97 eV/cell
**ΔE_f**: 0.034 eV/atom
**Density**: 8634 kg/m3

abc: 7.211 7.211 7.294
angles: 98.15 98.15 119.32
Positions (direct):
Ac1 0.089 0.409 0.251
Ac2 0.250 0.250 0.752
Ac3 0.409 0.089 0.251
Ac4 0.591 0.911 0.749
Ac5 0.750 0.750 0.248
Ac6 0.911 0.591 0.749
Tc1 0.000 0.000 0.000
Os1 0.500 0.500 0.500

~~~~~

The following is a DFT calculation (PBE) of crystalline TmScAg2Se4 at its relaxed geometry.

Cell and atoms, written as extended XYZ:
```
8
Lattice="6.9853 0.0000 0.0000 0.0000 4.0410 0.0000 -2.3961 0.0000 6.5675" Properties=species:S:1:pos:R:3 pbc="T T T"
Tm 0.0000 0.0000 0.0000
Sc -1.1981 2.0205 3.2838
Ag 2.2946 0.0000 3.2838
Ag 3.4927 2.0205 0.0000
Se -0.1367 0.0000 4.8553
Se 1.0456 2.0205 1.6802
Se 3.5436 2.0205 4.8873
Se 4.7259 0.0000 1.7122
=====
_The materials data stop here_
And all school children know what snow is. 🙂
Yes and that also means that most university students that enroll to get a PhD in climate science haven’t experienced any global warming since they were in Grammar school.
They have experienced NOTHING BUT a warmed Earth for their entire life. For the longer time series, try:
August, 1936 was about 10 degrees warmer than this month. The kids are very lucky that the climate has cooled so much
You are cherrypicking summer 1936, but what was the climate? “Ironically, February of 1936 was the coldest such on record with an average nationwide temperature of 26.0° (single coldest month on record was January 1977 with a 23.6° average). In February of 1936 temperatures fell as low as -60° in North Dakota, an all-time state record and Turtle Lake, North Dakota averaged -19.4° for the entire month, the coldest average monthly temperature ever recorded in the United States outside of Alaska….”
Global weirding completely out of control in 1936 with CO2 at 310 PPM
BTW – the 1930s was much hotter than any decade since
..and Bob, you just cherry picked by leaving out the first of Chris’s article…..
“The climatological summer (June-August) of 1936 was the warmest nationwide on record (since 1895) with an average temperature of 74.6° (2nd warmest summer was that of 2006 with an average of 74.4°) and July of 1936 was the single warmest month ever measured with an average of 77.4° (beating out July 2006 by .1°).”
Bob’s kids are 34 year old seniors starting school this week
For global temps:
For USA temps:
“..the 1930s was [ NOT ] much hotter than any decade since.”
• Crystal structures that have nothing to do with the page:
<<<
[1]
Entry from Alexandria via LeMat-Bulk: a relaxed ScIn2Se crystal (GGA-PBE).

The structure in POSCAR format:
```
ScIn2Se
1.0
1.826 1.054 8.558
-1.826 1.054 8.558
0.000 -2.108 8.558
Sc In Se
1 2 1
direct
0.000 0.000 0.000 Sc
0.242 0.242 0.242 In
0.758 0.758 0.758 In
0.500 0.500 0.500 Se
```

***

[2]
Entry from Alexandria via LeMat-Bulk: a relaxed ScInSe crystal (GGA-PBE).

The structure in POSCAR format:
```
ScInSe
1.0
4.554 0.000 0.000
-2.277 3.944 0.000
0.000 0.000 4.209
Sc In Se
1 1 1
direct
0.000 0.000 0.000 Sc
0.333 0.667 0.500 In
0.667 0.333 0.000 Se
```

Results
For the energy above the most stable polymorph in this dataset, the calculation gives 0.221 eV per atom.

***

[3]
Entry from Alexandria via LeMat-Bulk: a relaxed ScIn3Se crystal (GGA-PBE).

The structure in POSCAR format:
```
ScIn3Se
1.0
5.651 0.000 0.000
0.000 5.651 0.000
0.000 0.000 5.651
Sc In Se
1 3 1
direct
0.000 0.000 0.000 Sc
0.000 0.000 0.500 In
0.000 0.500 0.000 In
0.500 0.000 0.000 In
0.500 0.500 0.500 Se
```

Results
For the energy above the most stable polymorph in this dataset, the calculation gives 0.101 eV per atom.

***

[4]
Entry from Alexandria via LeMat-Bulk: a relaxed Sc3InSe crystal (GGA-PBE).

The structure in POSCAR format:
```
Sc3InSe
1.0
6.612 0.000 0.000
0.000 4.014 0.000
-1.592 0.000 8.401
Sc In Se
6 2 2
direct
0.034 0.250 0.196 Sc
0.339 0.750 0.418 Sc
0.462 0.750 0.820 Sc
0.538 0.250 0.180 Sc
0.661 0.250 0.582 Sc
0.966 0.750 0.804 Sc
0.163 0.250 0.616 In
0.837 0.750 0.384 In
0.260 0.750 0.079 Se
0.740 0.250 0.921 Se
```

Results
For the energy above the most stable polymorph in this dataset, the calculation gives 0.000 eV per atom.

***

[5]
Entry from Alexandria via LeMat-Bulk: a relaxed ScInSe crystal (GGA-PBE).

The structure in POSCAR format:
```
ScInSe
1.0
3.724 0.000 0.000
-1.862 3.225 0.000
0.000 0.000 6.276
Sc In Se
1 1 1
direct
0.000 0.000 0.000 Sc
0.333 0.667 0.642 In
0.667 0.333 0.240 Se
```

Results
For the energy above the most stable polymorph in this dataset, the calculation gives 0.123 eV per atom.

***

[6]
Entry from Alexandria via LeMat-Bulk: a relaxed ScIn2Se crystal (GGA-PBE).

The structure in POSCAR format:
```
ScIn2Se
1.0
-4.129 4.129 2.943
4.129 -4.129 2.943
4.129 4.129 -2.943
Sc In Se
2 4 2
direct
0.000 0.000 0.000 Sc
0.750 0.250 0.500 Sc
0.137 0.625 0.012 In
0.375 0.387 0.512 In
0.613 0.125 0.988 In
0.875 0.863 0.488 In
0.250 0.750 0.500 Se
0.500 0.500 0.000 Se
```

***

[7]
Entry from Alexandria via LeMat-Bulk: a relaxed ScIn2Se crystal (GGA-PBE).

The structure in POSCAR format:
```
ScIn2Se
1.0
3.016 -4.185 0.000
3.016 4.185 0.000
0.000 0.000 3.731
Sc In Se
1 2 1
direct
0.000 0.000 0.000 Sc
0.000 0.500 0.500 In
0.500 0.000 0.500 In
0.500 0.500 0.000 Se
```

***

[8]
Entry from Alexandria via LeMat-Bulk: a relaxed ScIn2Se crystal (GGA-PBE).

The structure in POSCAR format:
```
ScIn2Se
1.0
-1.757 2.685 5.183
1.757 -2.685 5.183
1.757 2.685 -5.183
Sc In Se
1 2 1
direct
0.000 0.000 0.000 Sc
0.260 0.760 0.500 In
>>>
• Back to the page:
I come here when
puts up one of your stories.
You are quoting tampered GISS data to prove that the 1930s were cooler? ROFLMAO
of dear….no wonder you believe this crap
Bob, here’s what happened to your temps……
Bob, if you regularly visit, then you should be aware of exactly how far you can trust government employees and government data sets…
By my reckoning, you can trust ’em exactly as far as you can throw the Washington monument.
Bob, ,
You point out a 34-year period of time where you can show a warming planet during the satellite era. That era began after 3 decades of cooling, which you failed to mention. There was a 37-year cooling trend:
The warming portion on your graph (the first two decades) took place during 2 of the four hottest solar cycles on record (since the 1600s):
Since 2002, the sun’s activity has been cooling off:
During the same period of time, so has the earth:
How could anyone possibly blame any of these effects on the 4% of the total atmospheric carbon dioxide that is attributed to human activities? In good conscience, one surely cannot.
For decades, radiosondes and satellites have searched for the predicted trapped heat in the atmosphere:
Models show a ratio of 1.4 tropospheric warming in the tropics (the troposphere holding in heat and warming faster than surface), but the observations have a ratio closer to 0.8. The Hot Spot does not exist. (It has not been located.) The predicted hot spot vs. observations: Excess heat seems to escape into space as it always has (or, the actual climate sensitivity is so very low it has yet to be detected.
This must be why the models based on the expected hot spot have been so terribly wrong:
I don’t care how many surveys are given to scientists; the runaway GHG effect hypothesis is falling to pieces. Mama Gaia, solar science and geologists are winning this debate–whether or not any of them have the support of fascist governments is inconsequential to reality. Scientists should be looking for truth–not trying to prove their hypothesis.
Whenever we are ever able to calculate the real climate sensitivity of CO2, then we’ll have something. At such time I believe Richard Lindzen will be found to have been prescient and absolutely correct for what he said:
“Future generations will wonder in bemused amazement that the early 21st century’s developed world went into hysterical panic over a globally averaged temperature increase of a few tenths of a degree, and, on the basis of gross exaggerations of highly uncertain computer projections combined into implausible chains of inference, proceeded to contemplate a roll-back of the industrial age.”
Before the satellite era, for 40 years, from the late 1930s to the late 1970s school children experienced NOTHING BUT a cooled Earth–some from childhood all the way to middle age.
The above was in reference to bobmaginnis: “They have experienced NOTHING BUT a warmed Earth for their entire life. For the longer time series, try:“
Umm, if there really has been warming for the last 17 years (as Richard Goodman seems to think), somebody on the AGW side ought to buy Trenberth et al a clue — isn’t he the guy looking to explain the “missing” heat by invoking oceanic heat sinks? “Hey, Ken, global warming hasn’t stopped, dude! Why are you trying to explain what isn’t going on?”
I don’t know one model from another, but I expect Trenberth does. As long as he’s still trying to explain a lack of warming then, hey, who am I to disagree?
Hoist on their own petard.